_Excerpt_
........
(1)
Entry from the Alexandria database: a relaxed structure of MoW2C (PBE-GGA).

Cell: 2.7240 2.7240 7.2592 Å, 90.00 90.00 90.00°
Space group P4/mmm (No. 123)
Inequivalent atoms, fractional coordinates:
Mo 0.0000 0.0000 0.0000 (multiplicity 1)
W 0.5000 0.5000 0.3191 (multiplicity 2)
C 0.0000 0.0000 0.5000 (multiplicity 1)

As for the formation energy: 2.1 eV/f.u. The total moment comes out at 0.00 μB/atom.

(2)
Entry from the Alexandria database: a relaxed structure of MoWC2 (PBE-GGA).

Cell: 5.4520 5.4520 5.4520 Å, 90.00 90.00 90.00°
Space group Fm-3m (No. 225)
Inequivalent atoms, fractional coordinates:
Mo 0.0000 0.0000 0.0000 (multiplicity 4)
W 0.0000 0.0000 0.5000 (multiplicity 4)
C 0.2500 0.2500 0.2500 (multiplicity 8)

As for the formation energy: 2.9 eV/f.u. The total moment comes out at 0.00 μB/atom.

(3)
Entry from the Alexandria database: a relaxed structure of Mo2WC (PBE-GGA).

Cell: 3.1491 3.7885 4.6234 Å, 90.00 90.00 90.00°
Space group Pmmm (No. 47)
Inequivalent atoms, fractional coordinates:
Mo 0.0000 0.0000 0.0000 (multiplicity 1)
Mo 0.5000 0.5000 0.0000 (multiplicity 1)
W 0.0000 0.5000 0.5000 (multiplicity 1)
C 0.5000 0.0000 0.5000 (multiplicity 1)

As for the formation energy: 4.3 eV/f.u. The total moment comes out at 0.00 μB/atom.

(4)
Entry from the Alexandria database: a relaxed structure of MoW2C (PBE-GGA).

Cell: 3.4988 3.4988 9.0657 Å, 90.00 90.00 90.00°
Space group I-4m2 (No. 119)
Inequivalent atoms, fractional coordinates:
Mo 0.0000 0.0000 0.0000 (multiplicity 2)
W 0.0000 0.0000 0.5000 (multiplicity 2)
W 0.0000 0.5000 0.7500 (multiplicity 2)
C 0.0000 0.5000 0.2500 (multiplicity 2)

As for the formation energy: 4.5 eV/f.u. The total moment comes out at 0.00 μB/atom.

(5)
Entry from the Alexandria database: a relaxed structure of Mo2WC (PBE-GGA).

Cell: 4.8537 8.3252 2.8723 Å, 90.00 102.85 90.00°
Space group C2/m (No. 12)
Inequivalent atoms, fractional coordinates:
Mo 0.2500 0.2500 0.0000 (multiplicity 4)
W 0.0000 0.0000 0.5000 (multiplicity 2)
C 0.0000 0.5000 0.5000 (multiplicity 2)

As for the formation energy: 4.6 eV/f.u. The total moment comes out at 0.00 μB/atom.

(6)
Entry from the Alexandria database: a relaxed structure of MoWC2 (PBE-GGA).

Cell: 2.8837 2.8884 10.1246 Å, 90.00 90.00 90.00°
Space group Imm2 (No. 44)
Inequivalent atoms, fractional coordinates:
Mo 0.0000 0.0000 0.0000 (multiplicity 2)
W 0.0000 0.5000 0.7496 (multiplicity 2)
C 0.0000 0.0000 0.5830 (multiplicity 2)
C 0.0000 0.5000 0.3313 (multiplicity 2)

As for the formation energy: -0.4 eV/f.u. The total moment comes out at 0.00 μB/atom.
........

_Exercise_
Repeat the whole of the calculation results further up verbatim.

_Result_
(1)
Entry from the Alexandria database: a relaxed structure of MoW2C (PBE-GGA).

Cell: 2.7240 2.7240 7.2592 Å, 90.00 90.00 90.00°
Space group P4/mmm (No. 123)
Inequivalent atoms, fractional coordinates:
Mo 0.0000 0.0000 0.0000 (multiplicity 1)
W 0.5000 0.5000 0.3191 (multiplicity 2)
C 0.0000 0.0000 0.5000 (multiplicity 1)

As for the formation energy: 2.1 eV/f.u. The total moment comes out at 0.00 μB/atom.

(2)
Entry from the Alexandria database: a relaxed structure of MoWC2 (PBE-GGA).

Cell: 5.4520 5.4520 5.4520 Å, 90.00 90.00 90.00°
Space group Fm-3m (No. 225)
Inequivalent atoms, fractional coordinates:
Mo 0.0000 0.0000 0.0000 (multiplicity 4)
W 0.0000 0.0000 0.5000 (multiplicity 4)
C 0.2500 0.2500 0.2500 (multiplicity 8)

As for the formation energy: 2.9 eV/f.u. The total moment comes out at 0.00 μB/atom.

(3)
Entry from the Alexandria database: a relaxed structure of Mo2WC (PBE-GGA).

Cell: 3.1491 3.7885 4.6234 Å, 90.00 90.00 90.00°
Space group Pmmm (No. 47)
Inequivalent atoms, fractional coordinates:
Mo 0.0000 0.0000 0.0000 (multiplicity 1)
Mo 0.5000 0.5000 0.0000 (multiplicity 1)
W 0.0000 0.5000 0.5000 (multiplicity 1)
C 0.5000 0.0000 0.5000 (multiplicity 1)

As for the formation energy: 4.3 eV/f.u. The total moment comes out at 0.00 μB/atom.

(4)
Entry from the Alexandria database: a relaxed structure of MoW2C (PBE-GGA).

Cell: 3.4988 3.4988 9.0657 Å, 90.00 90.00 90.00°
Space group I-4m2 (No. 119)
Inequivalent atoms, fractional coordinates:
Mo 0.0000 0.0000 0.0000 (multiplicity 2)
W 0.0000 0.0000 0.5000 (multiplicity 2)
W 0.0000 0.5000 0.7500 (multiplicity 2)
C 0.0000 0.5000 0.2500 (multiplicity 2)

As for the formation energy: 4.5 eV/f.u. The total moment comes out at 0.00 μB/atom.

(5)
Entry from the Alexandria database: a relaxed structure of Mo2WC (PBE-GGA).

Cell: 4.8537 8.3252 2.8723 Å, 90.00 102.85 90.00°
Space group C2/m (No. 12)
Inequivalent atoms, fractional coordinates:
Mo 0.2500 0.2500 0.0000 (multiplicity 4)
W 0.0000 0.0000 0.5000 (multiplicity 2)
C 0.0000 0.5000 0.5000 (multiplicity 2)

As for the formation energy: 4.6 eV/f.u. The total moment comes out at 0.00 μB/atom.

(6)
Entry from the Alexandria database: a relaxed structure of MoWC2 (PBE-GGA).

Cell: 2.8837 2.8884 10.1246 Å, 90.00 90.00 90.00°
Space group Imm2 (No. 44)
Inequivalent atoms, fractional coordinates:
Mo 0.0000 0.0000 0.0000 (multiplicity 2)
W 0.0000 0.5000 0.7496 (multiplicity 2)
C 0.0000 0.0000 0.5830 (multiplicity 2)
C 0.0000 0.5000 0.3313 (multiplicity 2)

As for the formation energy: -0.4 eV/f.u. The total moment comes out at 0.00 μB/atom.